09 May 2024
When do I commit fraud or plagiarism and how do I prevent this when I write my thesis?
We often receive requests to write a thesis or correct parts of a thesis. However, we cannot fulfill these requests as a thesis must always be your own work, otherwise it would be considered fraud. Copying entire texts, such as from the internet, is also prohibited. Plagiarism detection software can easily identify this kind of plagiarism. If your thesis contains too much plagiarism, it will not be accepted, and you may not be able to graduate. This article aims to clarify what constitutes fraud and when it is considered plagiarism. It will also provide tips on how to prevent plagiarism when writing your thesis.

When do you commit fraud?
Fraud is literally a form of deception. You present things differently than they actually are. You commit fraud if you:
- buy, steal or borrow a document
- hire someone to write your thesis for you
Fraud is punishable, although this must be proven. It can have major consequences, especially when you graduate, and may result in your not being allowed to graduate or even being suspended from your course.
When is something plagiarism?
If you pretend that certain words, thoughts, and ideas of others are your own, you are committing plagiarism. The meaning of plagiarism, according to Van Dale (2020), is: “1. copying pieces, thoughts, and reasoning from others and passing them off as your own work; 2. a part of writing copied from others, etc.”
In practice, this relates to pieces of text that you did not write yourself but which were directly copied from existing texts. This can encompass text from books or websites, as well as texts that you have previously submitted for assessment.
What is considered plagiarism?
You commit plagiarism if you:
- Clone texts: This is the most well-known and serious form of plagiarism, where you present someone else’s work as your own.
- Copy large portions of text from another source without using quotation marks, citations, or giving credit to the original author. Plagiarism also occurs when not properly citing sources.
# Unrelated to this piece: data records
=====
The following is a quantum chemistry calculation of C20H34AlCl10I2 as an isolated structure at a distorted geometry, from the Open Molecules 2025 dataset.

The calculation puts the calculated total energy at -6222.1196 Eh. For the lowest unoccupied orbital energy, the calculation gives 1.939 eV. The HOMO-LUMO gap comes out at 6.65 eV. As for the molecular weight: 909.81 g/mol. As for the multiplicity: 1. The charge is -1.

Positions of all 67 atoms, in Å:
I (-2.2714, -4.6967, 3.8033)
I (-1.1385, -3.8058, 0.5064)
Cl (-2.8818, 3.0770, -6.0133)
Cl (2.9773, 1.9963, 0.9699)
Cl (1.1912, -0.0972, -2.1770)
Cl (-4.1263, -0.9651, -6.6502)
Cl (0.0709, 1.3828, -6.2999)
Cl (2.0357, 3.5040, -5.1962)
Cl (1.4148, 4.0264, -1.8873)
Cl (-2.0699, -1.1150, -2.0554)
Cl (1.9254, 1.0288, 4.0715)
Cl (-6.6730, -1.0587, -4.3752)
Al (-1.0557, -2.3458, 3.6856)
C (-0.2596, 0.9359, -2.2388)
C (3.2173, 3.9735, -3.9494)
C (-0.0216, -2.7221, 6.4367)
C (-4.2173, -1.9709, -5.1816)
C (3.6626, 2.4926, 2.5364)
C (1.6572, 0.7421, 7.1085)
C (2.0678, -2.6938, 1.8009)
C (0.9504, -1.5563, 1.4544)
C (0.7696, -2.0012, 7.6456)
C (0.5695, -2.4493, 4.9536)
C (1.0730, -0.4172, 7.3886)
C (-2.3023, -0.8325, 4.3494)
C (-1.3905, 0.3895, -1.3880)
C (-1.8597, 2.9406, -7.4656)
C (-1.1711, 1.5919, -7.5581)
C (3.5965, 1.3811, 3.5673)
C (-3.1189, -0.0429, 5.0515)
C (-5.6355, -2.4160, -4.8794)
C (-0.5689, -2.0365, 1.7150)
C (2.8978, 3.3496, -2.6049)
H (-1.0633, 0.1877, -0.3655)
H (-3.7890, -1.4016, -4.3539)
H (-6.0998, -2.8940, -5.7449)
H (-3.5844, -2.8440, -5.3571)
H (1.7216, -2.5385, 7.9963)
H (-2.2065, 1.1147, -1.3476)
H (4.1960, 3.6313, -4.2945)
H (3.7090, 3.5478, -1.9005)
H (4.0383, 0.4560, 3.1900)
H (0.0420, -2.0102, 8.5607)
H (-1.8842, 0.7694, -7.4693)
H (-5.6307, -3.1334, -4.0558)
H (-0.5563, 1.0402, -3.2850)
H (-1.1388, 3.7608, -7.4499)
H (3.1302, 3.3852, 2.8719)
H (3.2392, 5.0640, -3.8937)
H (-1.1629, -2.4779, 6.4130)
H (2.7729, 2.2672, -2.6838)
H (2.7000, -2.3095, 2.6877)
H (2.3682, 1.6143, 6.8331)
H (1.0659, -1.3516, 0.3092)
H (1.1472, -0.5425, 1.9769)
H (4.7046, 2.7669, 2.3531)
H (-3.6504, 0.5999, 5.8499)
H (-2.5158, 3.0807, -8.3281)
H (1.4959, -3.6638, 2.0277)
H (1.1808, -3.3932, 4.6403)
H (0.0496, -3.8739, 6.6161)
H (0.0380, 1.9191, -1.8691)
H (2.7926, -2.8237, 0.9042)
H (-1.2563, -1.1689, 1.3378)
H (4.1425, 1.6772, 4.4665)
H (1.2795, -1.5492, 4.8668)
H (-0.6641, 1.5006, -8.5216)

Löwdin atomic charge list, values in e, 8 entries: 0.172, 0.586, 0.536, 0.555, 0.560, 0.539, 0.528, 0.517

The following is a quantum chemistry calculation of a 2-piece molecular cluster, CHClFN overall at a distorted geometry, from the Open Molecules 2025 dataset.
=====
- Use the find and replace function to change certain words in a copied text from another source, which is also considered plagiarism. This still involves using someone else’s text and ideas. Plagiarism detection software is designed to identify this type of plagiarism as well.
- Paraphrase or summarize texts without providing proper attribution.
- Provide incorrect information about the original source, whether it is quoted directly or expressed in one’s own words.
- Reuse elaborations that have been used previously. You can only present your elaboration once to demonstrate that you have met the requirements. Therefore, it is not permissible to reuse answers from previous exams, even if they are your own answers that you wrote in the past (unless it is a resit of the same exam).
- Plagiarism is sometimes also characterized as copyright infringement. Anyone who creates work is an author and is, therefore, directly protected under this right.
What are the consequences if I commit plagiarism?
If you commit plagiarism (or engage in copyright infringement), there may be consequences for your thesis. For instance, it could be rejected if it fails the plagiarism scan required by your course. Moreover, its evaluation by the examiner could lead to rejection as well. This could prevent you from defending your thesis and, under worst-case circumstances, even result in suspension from your course.
When do you not commit plagiarism?
Writing about your own personal experiences, processing and documenting the results of your own research, and utilizing your own images, diagrams, and tables is not considered plagiarism. Even if you draw your own conclusions about a specific topic, it is not plagiarism. In short, if you are the original writer, what you write will not be classified as plagiarism.
How do you prevent plagiarism, or in other words: what is allowed?
- Paraphrase. If you utilize texts, articles, or ideas from others in your own written work, it is permissible as long as you appropriately cite your sources. The key is not just to replace a few words, but to rephrase the content using your own language.
- Quote: This is simply copying certain words or sentences, limited to a maximum of 5 lines. Consequently, it will always require fitting these fragments into an authentic piece written by yourself. Proper citation and usage of the APA format are crucial when quoting. To do so, enclose the quoted text within double quotation marks and provide proper source attribution. It is worth noting that quotations should only be utilized when the author’s literal words contribute value. They must never act as a replacement for your own words but rather serve to support or enhance your own ideas.
- Refer. Ensure that all your statements and theories are supported with literature. You should provide justification for the use of specific theories or statements by referencing books, articles, or other credible sources. Remember to follow APA guidelines when citing sources and creating your bibliography.
Is the use of ChatGPT considered fraud or plagiarism?
ChatGPT is an uncharted territory for many colleges and universities, but it is certainly utilized by numerous students. Collegiate institutions do not endorse the use of ChatGPT and consider it to be fraudulent. However, a definitive policy regarding its usage is often absent. Meanwhile, the tool is becoming more sophisticated, making it increasingly challenging to determine whether a text has been generated with the assistance of AI. This also poses a challenge for plagiarism detection software, as ChatGPT has the capability to generate original texts. Nonetheless, as a student, it is still your responsibility to ensure the integrity of your work. When composing a thesis, you must conduct your own research, interpret your findings, and draw logical conclusions and recommendations, or develop a concrete end product. Additionally, you must be able to address your research question or design inquiry. Ultimately, relying on your own common sense is imperative.
We have written the following article about when writing your thesis becomes plagiarism or even fraud if you use ChatGPT.
Why do you need to cite sources and use scientific articles?
You must cite your sources correctly to avoid plagiarism and to clarify what you have written and the insights you have gained from them. This provides recognition to the original authors for their contributions. In addition, scientific articles are a reliable source to consult, while (commercial) blog articles can also be considered, they are often lacking scientific substantiation and may be biased.
With a scientific source, knowledge is substantiated through research. By subsequently utilizing and amalgamating multiple sources, one can arrive at accurate conclusions. If 10 scientific sources concur on an aspect, it can be considered true. From there, you can formulate your own deductions, which is your unique contribution. Interested in learning more about this? Make sure to check out our blog post on the importance of literature research.
Which rules apply for correctly noting sources?
You can cite your sources in various ways in the text: summarizing, paraphrasing, or quoting. In our article on APA references, we explain the distinction between these citation methods. We also provide guidelines to follow and requirements for a proper source citation. In our next article, we will explain how to conduct source and literature research.
Is sourcing and conducting literature research difficult? If so, consider seeking assistance.
Conducting source and literature research and processing your sources and literature correctly can be an exacting and time-consuming task, but it does demonstrate whether you have written the content yourself or relied on others’ knowledge. It is crucial to utilize an adequate number of sources to support your conclusions; relying on a single source (n=1) is insufficient. If you need assistance with your literature and source research, paraphrasing, citing, or summarizing, please feel free to contact us for a complimentary consultation. We are more than willing to assist you.
Contact Jouw Scriptiecoach if you need immediate help with your thesis.
Do you need immediate help with your thesis? Then request a free consultation now. During the consultation, we look at how best we can help you and which supervisor would be most suitable for your subject. You’ll also receive an immediate estimate of the number of hours we’ll need to get you across the finish line. Then you can easily purchase the hours online, and once the payment has gone through, we immediately connect you to your thesis supervisor. They’ll contact you quickly (often on the same day) so that you can get back to working on your thesis as soon as possible.